== Brief ==
Start at the top of the lines further below and copy each line, ending with the one that has "0.659 0.665".

== Input ==
┌──
PuZr4N, relaxed, DFT PBE; crystal system = monoclinic; SG = P2_1/c, No. 14; raw formation energy = -302 meV/atom; final energy = -9.776 eV/atom
1.0
5.838 0.000 0.214
0.000 5.896 0.000
0.300 0.000 7.546
Zr N Pu
8 2 2
Direct
0.535 0.096 0.783
0.465 0.904 0.217
0.659 0.665 0.568
0.341 0.335 0.432
0.035 0.404 0.783
0.841 0.165 0.432
0.159 0.835 0.568
0.965 0.596 0.217
0.500 0.000 0.500
0.000 0.500 0.500
0.500 0.500 0.000
0.000 0.000 0.000


# 1
First-principles (PBE) data for La2TbPm2Sm2 after structural relaxation, as listed in Alexandria via LeMat-Bulk.

Results
The space group is C2/m (12).

abc: 5.188 6.346 8.182
angles: 97.45 90.00 114.13
Element x y z (fractional)
1 Sm 0.570 0.141 0.717
2 Sm 0.430 0.859 0.283
3 La 0.143 0.285 0.426
4 La 0.857 0.715 0.574
5 Pm 0.285 0.569 0.860
6 Pm 0.715 0.431 0.140
7 Tb 0.000 0.000 0.000


# 2
First-principles (PBE) data for KTlHgPb after structural relaxation, as listed in Alexandria via LeMat-Bulk.

Results
The space group is F-43m (216).

abc: 5.594 5.594 5.594
angles: 60.00 60.00 60.00
Element x y z (fractional)
1 Tl 0.250 0.250 0.250
2 Pb 0.500 0.500 0.500
3 K 0.000 0.000 0.000
4 Hg 0.750 0.750 0.750
└──

== Here it is ==
PuZr4N, relaxed, DFT PBE; crystal system = monoclinic; SG = P2_1/c, No. 14; raw formation energy = -302 meV/atom; final energy = -9.776 eV/atom
1.0
5.838 0.000 0.214
0.000 5.896 0.000
0.300 0.000 7.546
Zr N Pu
8 2 2
Direct
0.535 0.096 0.783
0.465 0.904 0.217
0.659 0.665 0.568